Project: Gorgon is a 3D fantasy MMORPG (massively-multiplayer online role-playing game) that features an immersive experience that allows the player to forge their own path through exploration and discovery. We won't be guiding you through a world on rails, and as a result there are many hidden secrets awaiting discovery. Project: Gorgon also features an ambitious skill based leveling system that bucks the current trend of pre-determined classes, thus allowing the player to combine skills in order to create a truly unique playing experience.
Crystal structures that have nothing to do with the piece.
********
Record 1
La2Nd7Tm4: simulated XRD peak list (Cu Kα (weighted mean of Kα1 and Kα2)), based on a crystal structure in Alexandria, relaxed with PBE.
Neutral-atom scattering factors, no anomalous dispersion.

Atomic structure:
Cell: 6.2384 6.2384 13.1934 Å, 90.00 90.00 120.00°
Element x y z (fractional)
La 0.3333 0.6667 0.0000
La 0.6667 0.3333 0.0000
Nd 0.0000 0.0000 0.0000
Nd 0.0000 0.3726 0.2274
Nd 0.0000 0.6274 0.7726
Nd 0.3726 0.0000 0.2274
Nd 0.3726 0.3726 0.7726
Nd 0.6274 0.0000 0.7726
Nd 0.6274 0.6274 0.2274
Tm 0.0000 0.0000 0.3932
Tm 0.0000 0.0000 0.6068
Tm 0.3333 0.6667 0.5000
Tm 0.6667 0.3333 0.5000

Main lines, most intense first (2θ from 5° to 70°):
Position (°2θ), I/Imax
31.74, 100
29.42, 36
50.69, 24
35.28, 23
27.03, 19
28.62, 16
50.80, 14
26.13, 12
61.05, 11
58.38, 11

---

Record 2
Ho2Cd3Ni2: simulated XRD peak list (Cu Kα (weighted mean of Kα1 and Kα2)), based on a crystal structure in Alexandria, relaxed with PBE.
Neutral-atom scattering factors, no anomalous dispersion.

Atomic structure:
Cell: 10.3986 10.3986 3.6899 Å, 90.00 90.00 158.50°
Element x y z (fractional)
Ho 0.1732 0.8268 0.0000
Ho 0.8268 0.1732 0.0000
Cd 0.0000 0.0000 0.0000
Cd 0.4218 0.5782 0.5000
Cd 0.5782 0.4218 0.5000
Ni 0.2860 0.7140 0.5000
Ni 0.7140 0.2860 0.5000

Main lines, most intense first (2θ from 5° to 70°):
Position (°2θ), I/Imax
33.81, 100
35.88, 80
38.60, 41
31.81, 36
60.38, 34
46.84, 26
36.09, 24
49.40, 22
40.31, 18
64.39, 17

---

Record 3
CePm2Ag6: simulated XRD peak list (Cu Kα (weighted mean of Kα1 and Kα2)), based on a crystal structure in Alexandria, relaxed with PBE.
Neutral-atom scattering factors, no anomalous dispersion.

Atomic structure:
Cell: 8.7655 8.7655 8.7655 Å, 158.14 122.90 61.89°
Element x y z (fractional)
Ce 0.0000 0.0000 0.0000
Pm 0.3523 0.8523 0.5000
Pm 0.6477 0.1477 0.5000
Ag 0.0026 0.3276 0.6750
Ag 0.3241 0.5000 0.8241
Ag 0.3474 0.6724 0.6750
Ag 0.6526 0.3276 0.3250
Ag 0.6759 0.5000 0.1759
Ag 0.9974 0.6724 0.3250

Main lines, most intense first (2θ from 5° to 70°):
Position (°2θ), I/Imax
36.84, 100
34.97, 65
31.30, 51
37.69, 51
35.83, 49
68.29, 31
55.46, 21
46.11, 16
55.28, 16
67.65, 14

---

Record 4
CsBaSb3: simulated XRD peak list (Cu Kα (weighted mean of Kα1 and Kα2)), based on a crystal structure in Alexandria, relaxed with PBE.
Neutral-atom scattering factors, no anomalous dispersion.

Atomic structure:
Cell: 6.4219 6.4219 6.4219 Å, 90.00 90.00 90.00°
Element x y z (fractional)
Cs 0.0000 0.0000 0.0000
Ba 0.5000 0.5000 0.5000
Sb 0.0000 0.5000 0.5000
Sb 0.5000 0.0000 0.5000
Sb 0.5000 0.5000 0.0000

Main lines, most intense first (2θ from 5° to 70°):
Position (°2θ), I/Imax
27.78, 100
39.70, 76
24.00, 65
64.94, 35
46.92, 31
49.15, 27
19.55, 24
13.79, 20
57.39, 13
63.10, 13

---

Record 5
DyPaHg2O8: simulated XRD peak list (Cu Kα (weighted mean of Kα1 and Kα2)), based on a crystal structure in Alexandria, relaxed with PBE.
Neutral-atom scattering factors, no anomalous dispersion.

Atomic structure:
********
The Project: Gorgon development team is led by industry veteran Eric Heimburg. Eric has over a decade of experience working as a Senior and Lead Engineer, Developer, Designer and Producer on successful games such as Asheron’s Call 1 and 2, Star Trek Online and other successful Massively Multiplayer Online Games.
Just want to chime in and say I am that player that just checks until I find a fair price. Sometimes, there's 10+ sellers and I'm just not interested in that much running around. That said, I think the map could do with an update so it lists where the different sellers are, A B C etc. I waste more time taking wrong turns than actually checking out the sellers lol.
As a note of what should be obvious, Project Gorgon does not exist in a vacuum. The game MUST find a careful balance between the two systems, or a player may determine that the game does not value their time. Once the wonder of the initial game wears off and they try to settle in, if the player is still on the fence, it may be enough to turn them away.
Right now I avoid Serbule market as much as I can unless I really need something. That place is a lag fest in the best of times. Frame skip can dramatically sour the already grating experience. Has anyone ever mentioned that the shop golem is a PITA. It has been a few months since I last logged in, but I've not seen any notes on a revisit of the shop golem interface.
This is my personal opinion. Take it as you will. I don't play these games as a market simulator. There are a million things all trying to get my attention and a piece of my time. If the game is fun, that's enough for a while, but everything runs thin eventually. If i leave because I felt annoyed greatly by some system then that is what I'm going to remember the next time I consider the game. Those other million things haven't decreased either, so I'll pass on returning or suggesting to friends to get the game.
As a note of what should be obvious, Project Gorgon does not exist in a vacuum. The game MUST find a careful balance between the two systems, or a player may determine that the game does not value their time. Once the wonder of the initial game wears off and they try to settle in, if the player is still on the fence, it may be enough to turn them away.
Right now I avoid Serbule market as much as I can unless I really need something. That place is a lag fest in the best of times. Frame skip can dramatically sour the already grating experience. Has anyone ever mentioned that the shop golem is a PITA. It has been a few months since I last logged in, but I've not seen any notes on a revisit of the shop golem interface.
This is my personal opinion. Take it as you will. I don't play these games as a market simulator. There are a million things all trying to get my attention and a piece of my time. If the game is fun, that's enough for a while, but everything runs thin eventually. If i leave because I felt annoyed greatly by some system then that is what I'm going to remember the next time I consider the game. Those other million things haven't decreased either, so I'll pass on returning or suggesting to friends to get the game.
Just Saying.
Crystal structures, as found in the file >
'''
1.
The following is a simulated powder X-ray diffraction pattern of Pr4Dy3Tm8. It was derived from a crystal structure in Alexandria, relaxed with GGA-PBE, using CuKα.

Largest 8 diffraction maxima, in order of falling intensity, 5° ≤ 2θ ≤ 70°:
- 2θ 31.48, I 100
- 2θ 36.17, I 73
- 2θ 30.33, I 54
- 2θ 62.14, I 44
- 2θ 52.83, I 36
- 2θ 51.34, I 23
- 2θ 29.89, I 22
- 2θ 60.80, I 17

Structure:
```
Pr4Dy3Tm8
1.0
3.466 2.001 11.787
-3.466 2.001 11.787
0.000 -4.002 11.787
Pr Dy Tm
4 3 8
Direct
0.000 0.000 0.000
0.163 0.163 0.163
0.500 0.500 0.500
0.837 0.837 0.837
0.000 0.500 0.500
0.500 0.000 0.500
0.500 0.500 0.000
0.250 0.250 0.747
0.250 0.747 0.250
0.253 0.750 0.750
0.256 0.256 0.256
0.744 0.744 0.744
0.747 0.250 0.250
0.750 0.253 0.750
0.750 0.750 0.253
```

2.
The following is a simulated powder X-ray diffraction pattern of Pr12Dy5Tm. It was derived from a crystal structure in Alexandria, relaxed with GGA-PBE, using CuKα.

Largest 8 diffraction maxima, in order of falling intensity, 5° ≤ 2θ ≤ 70°:
- 2θ 29.92, I 100
- 2θ 34.61, I 34
- 2θ 59.15, I 29
- 2θ 49.91, I 24
- 2θ 34.82, I 17
- 2θ 59.43, I 14
- 2θ 62.16, I 12
- 2θ 49.76, I 12

Structure:
```
Pr12Dy5Tm
1.0
7.729 -7.771 0.000
7.729 7.771 0.000
0.000 0.000 5.185
Pr Dy Tm
12 5 1
Direct
0.002 0.669 0.500
0.164 0.164 0.000
0.169 0.502 0.000
0.331 0.998 0.500
0.335 0.335 0.500
0.498 0.831 0.000
0.502 0.169 0.000
0.665 0.665 0.500
0.669 0.002 0.500
0.831 0.498 0.000
0.836 0.836 0.000
0.998 0.331 0.500
0.167 0.833 0.000
0.334 0.666 0.500
0.500 0.500 0.000
0.666 0.334 0.500
0.833 0.167 0.000
0.000 0.000 0.500
```

3.
The following is a simulated powder X-ray diffraction pattern of Pr4Dy10Tm. It was derived from a crystal structure in Alexandria, relaxed with GGA-PBE, using CuKα.

Largest 8 diffraction maxima, in order of falling intensity, 5° ≤ 2θ ≤ 70°:
- 2θ 31.59, I 100
- 2θ 31.70, I 94
- 2θ 40.68, I 63
- 2θ 30.59, I 51
- 2θ 27.40, I 47
- 2θ 33.67, I 45
- 2θ 67.19, I 32
- 2θ 34.75, I 29

Structure:
```
Pr4Dy10Tm
1.0
-5.664 5.664 3.978
5.664 -5.664 3.978
5.664 5.664 -3.978
Pr Dy Tm
4 10 1
Direct
0.228 0.228 0.455
0.228 0.772 0.000
0.772 0.228 0.000
0.772 0.772 0.545
0.085 0.293 0.792
0.250 0.750 0.500
0.293 0.085 0.792
0.293 0.501 0.208
0.499 0.707 0.792
0.501 0.293 0.208
0.707 0.499 0.792
0.707 0.915 0.208
0.750 0.250 0.500
0.915 0.707 0.208
0.000 0.000 0.000
```

4.
The following is a simulated powder X-ray diffraction pattern of Pr2Dy5Tm3. It was derived from a crystal structure in Alexandria, relaxed with GGA-PBE, using CuKα.

Largest 8 diffraction maxima, in order of falling intensity, 5° ≤ 2θ ≤ 70°:
- 2θ 32.34, I 100
- 2θ 31.80, I 94
- 2θ 32.01, I 83
- 2θ 32.44, I 82
- 2θ 31.62, I 69
- 2θ 29.33, I 43
- 2θ 33.58, I 34
- 2θ 30.49, I 26

Structure:
```
Pr2Dy5Tm3
1.0
6.760 0.000 0.000
-0.804 9.321 0.000
-3.046 -4.129 10.278
Pr Dy Tm
4 10 6
Direct
0.094 0.325 0.332
0.357 0.969 0.755
0.643 0.031 0.245
0.906 0.675 0.668
0.045 0.741 0.436
0.185 0.539 0.156
0.274 0.754 0.960
0.316 0.365 0.861
'''
Nobody wants the market to be laggy or for the Golem to have an unfriendly interface. This thread is about adding a feature to the game, not people demanding the marketplace stays laggy or the search function should be messed up. If you want to throw around threats about quitting because the shopping Golem's text doesn't wrap around properly you should use the suggestion box in game instead, nobody's going to argue with you on that.
"You are looking for some fast Expert Metal Slabs and you are given a list of who sells them. Running from shop to shop allows you to browse what other items there are. OH crap I need Copper Ore also to make that Ring! OH wow, I don't have that recipie or skill. Wow I could use those ??'s at a great price."
**Attached: data records:**
+++
(1)
Starting from a PBE-relaxed structure, the powder diffractogram of HoHg6 was calculated for λ = 1.5418 Å (Cu Kα).
Kinematic intensities with the Lorentz-polarization factor, no thermal factor.

Largest 6 diffraction maxima, by angle, 2θ from 10° to 90°:
34.11 deg, intensity 98.8
34.90 deg, intensity 100.0
49.60 deg, intensity 35.0
62.08 deg, intensity 36.0
62.59 deg, intensity 18.9
83.77 deg, intensity 16.2

Cell and atoms:
abc: 8.157 8.157 8.157
angles: 36.74 36.74 36.74
Element x y z (fractional)
Ho: 0.000 0.000 0.000
Hg: 0.139 0.139 0.139
Hg: 0.280 0.280 0.280
Hg: 0.419 0.419 0.419
Hg: 0.581 0.581 0.581
Hg: 0.720 0.720 0.720
Hg: 0.861 0.861 0.861

---

(2)
Starting from a PBE-relaxed structure, the powder diffractogram of Tb3S4Cl was calculated for λ = 1.5418 Å (Cu Kα).
Kinematic intensities with the Lorentz-polarization factor, no thermal factor.

Largest 6 diffraction maxima, by angle, 2θ from 10° to 90°:
19.39 deg, intensity 66.5
22.30 deg, intensity 68.4
24.30 deg, intensity 83.4
26.41 deg, intensity 94.6
37.88 deg, intensity 72.2
39.76 deg, intensity 100.0

Cell and atoms:
abc: 7.766 7.766 9.734
angles: 109.06 109.06 53.21
Element x y z (fractional)
Tb: 0.006 0.994 0.500
Tb: 0.356 0.380 0.282
Tb: 0.380 0.356 0.782
Tb: 0.596 0.612 0.700
Tb: 0.612 0.596 0.200
Tb: 0.994 0.006 0.000
S: 0.019 0.343 0.146
S: 0.181 0.789 0.240
S: 0.240 0.577 0.554
S: 0.343 0.019 0.646
S: 0.403 0.727 0.935
S: 0.577 0.240 0.054
S: 0.727 0.403 0.435
S: 0.789 0.181 0.740
Cl: 0.642 0.953 0.342
Cl: 0.953 0.642 0.842

---

(3)
Starting from a PBE-relaxed structure, the powder diffractogram of Tl4Se3 was calculated for λ = 1.5418 Å (Cu Kα).
Kinematic intensities with the Lorentz-polarization factor, no thermal factor.

Largest 6 diffraction maxima, by angle, 2θ from 10° to 90°:
25.03 deg, intensity 42.6
25.27 deg, intensity 39.4
26.43 deg, intensity 58.2
30.39 deg, intensity 100.0
40.70 deg, intensity 72.1
43.21 deg, intensity 19.8

Cell and atoms:
abc: 8.267 13.488 4.187
angles: 90.00 90.00 90.00
Element x y z (fractional)
Tl: 0.000 0.219 0.000
Tl: 0.000 0.781 0.000
Tl: 0.228 0.500 0.500
Tl: 0.272 0.000 0.500
Tl: 0.500 0.281 0.000
Tl: 0.500 0.719 0.000
Tl: 0.728 0.000 0.500
Tl: 0.772 0.500 0.500
Se: 0.000 0.000 0.000
Se: 0.250 0.250 0.500
Se: 0.250 0.750 0.500
Se: 0.500 0.500 0.000
Se: 0.750 0.250 0.500
Se: 0.750 0.750 0.500
+++
This is so accurate.
The current system is a bit of a compromise, but it works very well. It works on both information, and lack of information. There is enough there to make you seek out vendors, but it also means you are shopping around, noting what people have, who prices less on some items, who prices more. Countless times I've spent 10x what I mean't to spend because I saw things at a decent price and decided to grab them rather than farm them.
The limitation to vendor size means a lot of us specialize and that adds character to the system. Some have just gems, some vegetables. Others just a mix of what they tend to farm but don't need. Over time you get a feel for the market.
A system like you had in the EQ1 bazar would result in people easily controlling the pricing, buying up low priced rare items to relist higher, and dumping everything else for nothing. That doesn't happen as much in PG because the system has limited the number of items we can list, and we have limited info on pricing. I think it's a good compromise.